To do
Filter the notes further down: keep the lines with the word "KZrFe2Cu".

Data
=====
Record 1
A relaxed CaHgSe crystal. Source: Alexandria, functional GGA-PBE.

relative energy among the computed polymorphs	0.33	eV per formula unit
raw total energy	-2.919	eV/atom
SG	F-43m (216)
volume	89.6	Å³ per cell

Cell: 5.022 5.022 5.022 Å, 60.00 60.00 60.00°
Atoms (fractional coordinates):
Ca 0.250 0.250 0.250
Hg 0.000 0.000 0.000
Se 0.500 0.500 0.500

Record 2
A relaxed Ce5Bi4C crystal. Source: Alexandria, functional GGA-PBE.

raw total energy	-5.981	eV/atom
SG	I4 (79)
energy of formation from the pure elements	-0.539	eV per atom
volume	308.5	Å³ per cell

Cell: 6.431 7.636 7.636 Å, 79.79 65.10 65.10°
Atoms (fractional coordinates):
Ce 0.908 0.345 0.840
Ce 0.253 0.840 0.655
Ce 0.748 0.160 0.345
Ce 0.093 0.655 0.160
Ce 0.433 0.000 0.000
Bi 0.422 0.391 0.771
Bi 0.813 0.771 0.609
Bi 0.193 0.229 0.391
Bi 0.584 0.609 0.229
C 0.063 0.000 0.000

Q: Which formula does entry 2 have?
A: Ce5Bi4C

Q: Among the records above, which one has the highest raw total energy?
A: CaHgSe

Q: What is the volume in the second record?
A: 308.5 Å³ per cell

~~~~~

# 1
PBE KTaFe2Cu, relaxed; theoretical density = 8.13 g/cm³; space-group type = P4/mmm (123)
1.0
4.249 0.000 0.000
0.000 4.249 0.000
0.000 0.000 4.474
K Ta Fe Cu
1 1 2 1
direct
0.000 0.000 0.000
0.500 0.500 0.500
0.000 0.500 0.000
0.500 0.000 0.000
0.000 0.000 0.500

---

# 2
PBE K2TiFeCu, relaxed; theoretical density = 2.28 g/cm³; space-group type = P4/mmm (123)
1.0
6.554 0.000 0.000
0.000 6.554 0.000
0.000 0.000 4.159
K Ti Fe Cu
2 1 1 1
direct
0.000 0.500 0.000
0.500 0.000 0.000
0.000 0.000 0.000
0.000 0.000 0.500
0.500 0.500 0.500

---

# 3
PBE KZrFe2Cu, relaxed; theoretical density = 6.09 g/cm³; excess energy over the best structure of this formula in the dataset = 0.828 eV per atom; space-group type = P4/mmm (123)
1.0
4.207 0.000 0.000
0.000 4.207 0.000
0.000 0.000 4.712
K Zr Fe Cu
1 1 2 1
direct
0.000 0.000 0.000
0.000 0.000 0.500
0.000 0.500 0.000
0.500 0.000 0.000
0.500 0.500 0.500

---

# 4
PBE KZrFe2Cu, relaxed; theoretical density = 3.83 g/cm³; excess energy over the best structure of this formula in the dataset = 0.000 eV per atom; space-group type = P4/mmm (123)
1.0
4.678 0.000 0.000
0.000 4.678 0.000
0.000 0.000 6.061
K Zr Fe Cu
1 1 2 1
direct
0.000 0.000 0.000
0.000 0.000 0.500
0.000 0.500 0.500
0.500 0.000 0.500
0.500 0.500 0.000

---

# 5
PBE K2ZrFeCu, relaxed; theoretical density = 2.73 g/cm³; space-group type = P4/mmm (123)
1.0
6.218 0.000 0.000
0.000 6.218 0.000
0.000 0.000 4.544
K Zr Fe Cu
2 1 1 1
direct
0.000 0.500 0.000
0.500 0.000 0.000
0.000 0.000 0.500
0.500 0.500 0.000
0.500 0.500 0.500

---

# 6
PBE LaFeCu2, relaxed; theoretical density = 7.61 g/cm³; space-group type = Fm-3m (225)
1.0
6.549 0.000 0.000
0.000 6.549 0.000
0.000 0.000 6.549
La Fe Cu
4 4 8
direct
0.000 0.000 0.000
0.000 0.500 0.500
0.500 0.000 0.500
0.500 0.500 0.000
0.000 0.000 0.500
0.000 0.500 0.000
0.500 0.000 0.000
0.500 0.500 0.500
0.250 0.250 0.250
0.250 0.250 0.750
0.250 0.750 0.250
0.250 0.750 0.750
0.750 0.250 0.250
0.750 0.250 0.750
0.750 0.750 0.250
0.750 0.750 0.750

---

# 7
PBE LaFeCu2, relaxed; theoretical density = 7.90 g/cm³; space-group type = I4/mmm (139)
1.0
3.955 0.000 0.000
0.000 3.955 0.000
0.000 0.000 8.655
La Fe Cu
2 2 4
direct
0.000 0.000 0.000
0.500 0.500 0.500
0.000 0.000 0.500
0.500 0.500 0.000
0.000 0.500 0.250
0.000 0.500 0.750
0.500 0.000 0.250
0.500 0.000 0.750

---

# 8
PBE La8FeCu2, relaxed; theoretical density = 6.32 g/cm³; space-group type = C2/m (12)
1.0
9.484 -1.977 0.000
9.484 1.977 0.000
-0.471 0.000 9.073
La Fe Cu
8 1 2
direct
0.004 0.004 0.200
0.228 0.228 0.333
0.350 0.350 0.011
0.407 0.407 0.491
0.593 0.593 0.509
0.650 0.650 0.989
0.772 0.772 0.667
0.996 0.996 0.800
0.500 0.500 0.000
0.162 0.162 0.729
0.838 0.838 0.271

---

no.,energy of formation from the pure elements (eV/atom)
1,2.431
2,1.229
3,2.490
4,1.661
5,1.522
6,0.445
7,0.268
8,-0.014
=====

Written answer
PBE KZrFe2Cu, relaxed; theoretical density = 6.09 g/cm³; excess energy over the best structure of this formula in the dataset = 0.828 eV per atom; space-group type = P4/mmm (123)
PBE KZrFe2Cu, relaxed; theoretical density = 3.83 g/cm³; excess energy over the best structure of this formula in the dataset = 0.000 eV per atom; space-group type = P4/mmm (123)